Deadly Malware That Attacked Saudi Industrial Plant Came From Russia

Cybersecurity researchers found a Russian government link to a potentially deadly cyberattack at a Saudi petrochemical plant last year, and it was a part of a global operation to target computers that operate critical industrial systems.
The firm FireEye in a blog post published on Tuesday, said it has “high confidence” that a government-owned research facility in Moscow built some of the malware used in the attack, which temporarily halted operations at the plant.
FireEye researchers said “During the attack, the malware triggered a safety system that shut down operations. Had that not happened, the attackers could have set off a potentially deadly chain of events.
Someone pasted quantum chemistry results at this point
-- begin --
{
  "formula": "C2H2ClN2",
  "method": "ωB97M-V/def2-TZVPD",
  "elements": ["C", "C", "N", "N", "Cl", "H", "H"],
  "xyz": [[-1.13975, 1.49905, -0.81714], [-1.05183, 2.34167, 0.12460], [-4.68777, -1.41227, 0.79223], [-3.95978, -0.64885, 0.42148], [0.64296, 1.52091, -0.22361], [-1.51935, 0.95842, -1.70690], [-1.32272, 3.00501, 0.98358]],
  "atomic_forces_ev_per_a": [[-0.052, 0.273, -0.446], [-0.294, -0.198, 0.581], [2.732, 2.877, -1.395], [-2.696, -2.850, 1.376], [-0.440, 0.174, 0.053], [0.298, 0.378, 0.897], [0.452, -0.654, -1.067]],
  "energy_ha": -646.71289,
  "charge": 1,
  "relative_energy_ev": 0.926,
  "e_homo_ha": -0.626
}

=====

Entry from the Open Molecules 2025 dataset: C45H45CsN9O2P2S2 as an isolated structure (ωB97M-V/def2-TZVPD).

Last column: Mulliken charge in e.
Cartesian coordinates (Å):
H (-5.1549, -8.4466, 3.8432)  0.38
H (-3.5125, 1.8704, -0.7012)  0.42
C (-3.5936, 2.0800, -2.8528)  -0.71
H (4.9014, 5.0505, -2.5939)  0.44
C (-0.1624, 7.4276, 0.4384)  -0.52
H (-1.4797, -4.1963, -5.3244)  0.48
H (-0.3204, -3.6524, -4.1335)  0.23
H (3.2442, 1.8025, 4.1053)  0.53
C (-1.7751, 2.8488, -1.4523)  -0.06
H (1.2564, -3.5942, 5.4571)  0.29
H (-3.3944, 2.4482, -4.9614)  0.39
C (-1.1448, 3.3500, -2.5929)  -0.08
N (-0.7052, 0.2092, -2.4195)  0.65
N (-0.5119, -2.7828, 4.7671)  -0.11
C (-3.0161, 2.2362, -1.5929)  -0.41
C (0.8002, 6.6004, -0.1232)  -1.03
C (-1.3573, -4.7712, 1.6499)  -0.41
C (-0.4245, -0.5979, -3.4230)  0.35
H (-2.8976, -5.6089, 0.6749)  0.30
H (1.7194, 7.0197, -0.5152)  0.45
N (-1.2101, -3.9441, 4.9941)  -0.70
C (-2.9195, -6.1680, 2.7354)  -0.07
C (-2.3274, -3.7264, -3.3971)  -0.90
H (3.0163, -1.9442, 6.1942)  0.36
H (-1.2126, 3.6006, -4.7196)  0.43
C (-1.3344, 6.8779, 0.9431)  -0.60
C (5.2094, 3.0364, 2.6451)  -0.53
H (-3.3459, -3.4896, -3.7232)  0.32
N (-2.4142, -5.6067, 1.5746)  0.02
H (-2.4300, -5.9984, 6.0754)  0.46
C (2.2310, 2.3290, -3.0825)  -0.44
C (3.9848, 3.6799, 2.5130)  -0.82
H (0.9821, -1.8396, -4.1138)  0.36
C (2.7759, 2.5152, -1.8108)  0.45
H (-4.3364, -7.4346, 1.7410)  0.43
C (3.7465, 3.5040, -1.6604)  -0.26
H (-0.2370, -3.8908, -1.6751)  0.33
H (-2.3613, -1.9446, -2.1477)  -0.25
H (1.4825, -0.7601, -2.8814)  -0.40
C (4.1472, 4.2861, -2.7393)  -0.81
C (3.2991, -0.0257, 5.2457)  -0.63
N (0.8459, -0.9469, -3.6693)  -0.08
H (-2.2948, -1.9955, -5.7666)  0.51
H (-2.3349, -0.6677, -3.9376)  0.34
H (-0.1713, 3.8185, -2.4990)  0.39
C (1.4736, -1.4928, 4.7747)  0.77
C (3.5900, 4.0916, -3.9922)  -0.64
H (1.4724, 1.5745, -3.2331)  0.53
H (4.6875, 0.4721, 0.4825)  0.40
H (1.3380, 4.5727, -0.6053)  0.29
H (6.4023, 1.3551, 2.0469)  0.41
C (2.7665, 0.8593, 4.3262)  -0.46
C (-1.5462, 5.5076, 0.8835)  -0.63
C (-2.8476, -6.3399, 5.1376)  -0.50
H (5.9635, 3.4338, 3.3142)  0.35
C (-3.9253, -7.1352, 2.6971)  -0.56
H (-2.0835, 7.5202, 1.3909)  0.38
H (-2.4477, 5.0649, 1.2896)  0.34
S (-2.1741, 2.3003, 1.5571)  -0.66
H (-4.1889, -7.7569, 6.0173)  0.38
H (0.0018, 8.4975, 0.4889)  0.36
H (-2.3369, -4.7934, -3.1657)  0.36
-- stop --
“They could have had free rein to create dangerous conditions,” said John Hultquist, FireEye director of intelligence analysis. And they got close, he said.
+++
Computed, not measured: a single C5H8O2 molecule at a distorted geometry, with ωB97M-V/def2-TZVPD.

Calculated values
relative energy (zero: lowest compared OMol25 entry of this formula, charge and spin) = 273.5 kJ/mol
Kohn-Sham gap = 10.85 eV
max |F| = 0.1217 hartree/bohr
multiplicity = 1
E_tot = -9406.9979 eV

Geometry as XYZ:
```
15
C5H8O2, DFT ωB97M-V/def2-TZVPD
C 1.6000 1.1319 0.3467
C 0.7735 -0.9579 -0.3014
C -0.6189 -0.5306 0.0064
C -1.5528 -1.4191 -0.2459
C -0.9008 0.9232 0.2906
O 1.7327 1.4549 -0.8308
O 1.5608 -0.1972 0.6506
H 1.0627 -1.8707 0.0730
H 1.1473 -0.9409 -1.3098
H -2.5685 -1.2126 -0.2440
H -1.4071 -2.3884 -0.7059
H 1.7280 1.7954 1.1179
H 0.0462 1.3937 0.7883
H -1.6407 1.2782 1.0488
H -0.9623 1.5401 -0.6847
```

From a Löwdin analysis of the wavefunction, the atomic charges in e read: -0.396 -0.119 -0.304 0.057 -0.026 0.046 -0.043 0.108 0.133 0.043 0.076 0.123 0.064 0.104 0.134

~~~~~

No. 1
The following is a DFT calculation (the ωB97M-V functional and the def2-TZVPD basis) of C50H53F3GeN4O6PSr as an isolated structure at a distorted geometry.

Last column: Mulliken charge in e.
Atoms and positions in Å:
1 Sr -1.32064 0.19030 -0.41211  1.0303
2 N -3.03068 1.60112 1.26244  -0.2372
3 C -2.39961 2.69609 2.09460  2.6066
4 C -2.59080 2.33758 3.57535  -0.5962
5 C -1.76231 3.13977 4.61438  -1.3237
6 C -0.29469 3.28224 4.32944  0.4613
7 N -0.01660 4.26515 3.22608  -0.1002
8 C 0.59867 3.84914 2.12202  -0.1357
9 N 1.48050 2.84179 2.23302  0.1330
10 N 0.28956 4.44042 0.96013  -0.3360
11 C -2.91451 4.05807 1.61827  0.3078
12 O -3.89822 4.07994 0.90233  -0.7593
13 O -2.19183 5.05025 2.07942  -0.8881
14 H -3.84707 2.03037 0.82479  0.1569
15 H -3.29545 0.79913 1.85518  0.1104
16 H -1.31497 2.62309 1.90468  -1.4097
17 H -2.35867 1.30734 3.76440  -0.1505
18 H -3.65816 2.46701 3.82322  0.3369
19 H -1.85128 2.64108 5.55423  0.6181
20 H -2.17479 4.12579 4.77316  0.3961
21 H 0.21562 2.34022 4.17556  -0.5641
22 H 0.11072 3.67079 5.26353  0.1302
23 H -0.87581 4.84595 3.04088  0.5841
24 H 1.58006 2.37833 3.09102  -0.2335
25 H 1.70150 2.34391 1.37637  0.1946
26 H -0.62449 4.78507 0.90307  0.3431
27 H 0.70608 4.00344 0.16446  0.3774
28 C 2.55124 -2.48574 5.91356  -1.6120
29 C 3.12195 -1.12811 6.04197  0.9496
30 C 3.72202 -0.77327 7.29236  -0.7119
31 C 4.19203 0.46958 7.62551  -0.7028
32 C 4.06133 1.45381 6.65625  -0.6990
33 C 3.42321 1.21527 5.44829  -0.4745
34 C 3.05116 -0.05619 5.06932  0.8701
35 P 2.46711 -0.19727 3.36422  1.0290
36 C 3.58039 -1.48447 2.68110  0.8697
37 C 3.21773 -2.83784 2.58185  -0.2926
38 C 3.98028 -3.70321 1.85417  -0.7958
39 C 5.19019 -3.26162 1.26769  -0.7747
40 C 5.57923 -1.94118 1.40473  -0.6245
41 C 4.78298 -1.00667 2.10634  0.8523
42 C 5.20589 0.41498 2.03534  -1.6103
43 C 0.77297 -0.80358 3.45843  -0.0973
44 C -0.14252 -0.60463 4.48121  -0.4295
45 C -1.52897 -0.91213 4.44538  -1.1919
46 C -1.95829 -1.58480 3.27247  -0.4612
47 C -1.13334 -1.67322 2.19505  -0.7070
48 C 0.23245 -1.17001 2.13051  0.6757
+++
The firm did not identify the plant’s owner, which had hired FireEye to do a forensic investigation.
FireEye said it linked the attack to the Central Scientific Research Institute of Chemistry and Mechanics through clues such as IP addresses and malware that revealed the online nickname of a hacker who worked for the lab.
The researchers also found computer code written in Cyrillic and noted that the attackers kept Moscow working hours — all potential signs the hackers were Russian.
The Russian Embassy in Washington did not respond to a request for comment Tuesday.
What made the attack potentially deadly was its use of a potent malware variant that FireEye has dubbed Triton. Though the firm has linked the institute to other malware strains used in the Saudi attack, it said, “We do not have specific evidence to prove” that the lab built Triton.
Nonetheless, Hultquist said, the link to the lab is highly suggestive of Russian government involvement.
“Russia has been extremely aggressive recently in U.S. and other global industrial control networks,” Hultquist said. “Shutting down a plant could lead to other unforeseen consequences. Anyone manipulating those safety systems could be endangering lives.”
The Department of Homeland Security and the FBI in March, issued a joint report alerting the public to Russian government targeting of energy, nuclear and other critical systems.
Triton malware could mark a dangerous escalation in global cyberwarfare, according to Security professionals. They are worried that the because it appears specifically made to sabotage a safety system whose sole purpose is to save lives by averting fatal incidents.
Entry 1:
{"formula": "C14H15Cl3NO2Se2Tc", "method": "ωB97M-V/def2-TZVPD", "total_charge": 2, "multiplicity": 1, "homo_ev": -15.066, "species": ["Tc", "O", "C", "C", "C", "O", "C", "Se", "C", "Se", "H", "H", "H", "H", "H", "H", "H", "H", "H", "H", "Cl", "C", "Cl", "Cl", "C", "N", "C", "C", "C", "C", "C", "C", "C", "H", "H", "H", "H", "H"], "positions_angstrom": [[0.0822, -0.5577, -0.9479], [-2.3982, -2.9050, 1.8526], [-2.9712, -1.9154, 2.6906], [-2.4511, -0.5484, 2.2081], [-3.0331, 0.5438, 3.0981], [-2.4774, 1.7737, 2.6624], [-2.9178, -0.3833, 0.7530], [-1.8780, 0.9591, -0.2446], [-0.9183, -0.5759, 2.3304], [-0.0304, 0.7311, 1.1544], [-2.7002, -3.7775, 2.1269], [-2.6861, -2.0628, 3.7364], [-4.0636, -1.9264, 2.6295], [-2.7721, 0.3409, 4.1416], [-4.1242, 0.5468, 3.0141], [-2.8096, 2.4980, 3.2047], [-3.9426, -0.0138, 0.7189], [-2.8602, -1.3242, 0.2104], [-0.5277, -1.5547, 2.0605], [-0.5972, -0.3139, 3.3376], [4.4955, -3.6353, -2.1354], [3.2691, -4.0325, -0.9405], [3.9523, -4.1403, 0.6803], [2.3916, -5.4965, -1.3690], [2.2936, -2.9252, -0.9285], [1.5356, -2.0679, -0.9125], [0.9427, 0.6898, -1.6981], [1.6614, 1.7306, -2.3242], [2.9702, 2.0249, -1.9042], [3.6567, 3.0492, -2.5221], [3.0535, 3.7677, -3.5510], [1.7595, 3.4746, -3.9713], [1.0530, 2.4584, -3.3619], [3.4265, 1.4517, -1.1081], [4.6627, 3.2908, -2.2089], [3.6002, 4.5673, -4.0328], [1.3070, 4.0407, -4.7733], [0.0460, 2.2176, -3.6760]], "lowdin_charge": [0.8012, -0.0550, -0.1854, -0.5471, -0.2016, -0.1023, -0.3858, 0.8316, -0.3672, 0.8483, 0.1183, 0.1470, 0.1481, 0.1455, 0.1459, 0.1222, 0.0982, 0.0769, 0.0760, 0.1001, 0.6886, -1.6337, 0.6770, 0.6838, -0.2910, 0.0797, -0.2359, -0.2892, -0.0155, -0.0363, -0.0141, -0.0346, -0.0137, 0.1229, 0.1230, 0.1262, 0.1239, 0.1240]}

***

Entry 2:
{"formula": "C5H7N", "method": "ωB97M-V/def2-TZVPD", "multiplicity": 1, "homo_ev": -8.338, "smiles": "C#CC(=C)NC", "species": ["C", "C", "C", "C", "N", "C", "H", "H", "H", "H", "H", "H", "H"], "positions_angstrom": [[-0.3819, -0.0915, -2.5566], [-0.2550, 0.2353, -1.4035], [0.0047, 0.7205, -0.0724], [-0.8364, 1.2452, 0.8306], [1.2257, 0.3163, 0.4793], [0.4129, -1.0805, 0.8865], [-0.5567, -0.2843, -3.5902], [-0.3356, 1.7995, 1.6136], [-1.8433, 0.8754, 0.9942], [1.9628, 0.4479, -0.2444], [0.8721, -1.9509, 0.4493], [-0.6813, -1.1971, 0.6422], [0.4120, -1.0356, 1.9715]], "lowdin_charge": [0.1330, -0.0949, -0.5534, 0.0207, 0.0171, -0.0293, 0.0277, 0.0629, 0.0693, 0.1157, 0.0636, 0.0902, 0.0774]}

***

Entry 3:
“FireEye’s attribution is certainly a strong possibility,” said Sergio Caltagirone, the director of threat intelligence for Dragos, a cyber-firm that also has studied the malware. But, he noted, complex attacks such as this one could have required the efforts of more than one country.
Some security researchers, for instance, say it is possible that the Saudi operation was a joint effort by Russia and Iran.
The Kremlin has many reasons for targeting Saudi infrastructure, said Michael Carpenter, a former senior White House and Pentagon official who handled Russia policy. Among them, he said, Moscow sides with Tehran in the proxy war between Iran and Saudi Arabia, and it believes Riyadh is closely aligned with U.S. interests in the region. Moreover, he said, Moscow has an interest in driving global oil prices as high as possible to maximize Russian budget revenue and weaken Western economies.
“Probing for vulnerabilities within this one petrochemical plant is likely part of a broader effort to target Saudi oil production facilities,” Carpenter said.